Work order:
The reader should quote only the lines further below with the word "Structure" in them.
Data:
- - -
# Sm2ZnRh2
Simulated PXRD pattern, a wavelength of 1.5418 Å. Input: a DFT-relaxed cell (PBE, Alexandria).
Intensities are scaled so that the largest is 100.

Principal peaks in the range 10° ≤ 2θ ≤ 90°, by angle:
3.506 Å, rel. 40
2.778 Å, rel. 29
2.643 Å, rel. 47
2.571 Å, rel. 100
2.440 Å, rel. 79
2.382 Å, rel. 30
2.374 Å, rel. 63
2.364 Å, rel. 69
2.191 Å, rel. 54
1.440 Å, rel. 31

Structure:
```
Sm2ZnRh2
1.0
5.0948 -2.7376 0.0000
5.0948 2.7376 0.0000
-2.2373 0.0000 7.5420
Sm Zn Rh
4 2 4
direct
0.0028 0.7050 0.8509
0.2950 0.9972 0.6491
0.7050 0.0028 0.3509
0.9972 0.2950 0.1491
0.3573 0.6427 0.2500
0.6427 0.3573 0.7500
0.2233 0.5103 0.4876
0.4897 0.7767 0.0124
0.5103 0.2233 0.9876
0.7767 0.4897 0.5124
```


Starting from a cell relaxed with GGA-PBE, the powder diffractogram of Rb6Cd2Hg was calculated for Cu Kα (weighted mean of Kα1 and Kα2).
Lines closer than 0.1° are merged.

Structural model:
```
data_Rb6Cd2Hg
_symmetry_space_group_name_H-M 'I m m m'
_symmetry_Int_Tables_number 71
_symmetry_space_group_name_Hall '-I 2 2'
_cell_length_a 12.3984
_cell_length_b 12.4227
_cell_length_c 13.4576
_cell_angle_alpha 90.00
_cell_angle_beta 90.00
_cell_angle_gamma 90.00
loop_
_atom_site_label
_atom_site_type_symbol
_atom_site_fract_x
_atom_site_fract_y
_atom_site_fract_z
Rb1 Rb 0.0000 0.2062 0.1749
Rb2 Rb 0.1808 0.2322 0.5000
Rb3 Rb 0.1978 0.5000 0.2552
Cd1 Cd 0.0000 0.0000 0.3903
Cd2 Cd 0.1241 0.0000 0.0000
Hg1 Hg 0.0000 0.5000 0.0000
Hg2 Hg 0.0000 0.5000 0.5000
```

The 10 most intense peaks (10° ≤ 2θ ≤ 80°), in order of rising 2θ:
| Position (°2θ) | d_spacing | I (rel.) | hkl |
| --- | --- | --- | --- |
| 14.27 | 6.206 | 37 | 0 2 0 |
| 24.22 | 3.675 | 100 | 2 2 2 |
| 25.53 | 3.490 | 37 | 1 2 3 |
| 26.30 | 3.388 | 53 | 3 1 2 |
| 26.74 | 3.334 | 48 | 3 2 1 |
| 28.76 | 3.105 | 45 | 0 4 0 |
| 35.13 | 2.554 | 18 | 3 1 4 |
| 44.64 | 2.030 | 22 | 3 5 2 |
| 46.04 | 1.971 | 23 | 5 1 4 |
| 50.76 | 1.798 | 20 | 5 3 4 |



Starting from a cell relaxed with GGA-PBE, the powder diffractogram of RbCd3Hg9 was calculated for Cu Kα (weighted mean of Kα1 and Kα2).
Lines closer than 0.1° are merged.

Structural model:
```
data_RbCd3Hg9
_symmetry_space_group_name_H-M 'C 1 2/m 1'
_symmetry_Int_Tables_number 12
_cell_length_a 6.0956
_cell_length_b 15.6123
_cell_length_c 8.1721
_cell_angle_alpha 90.00
_cell_angle_beta 110.00
_cell_angle_gamma 90.00
loop_
_symmetry_equiv_pos_as_xyz
'x,y,z'
'-x,-y,-z'
'-x,y,-z'
'x,-y,z'
'x+1/2,y+1/2,z'
'-x+1/2,-y+1/2,-z'
'-x+1/2,y+1/2,-z'
'x+1/2,-y+1/2,z'
loop_
_atom_site_label
_atom_site_type_symbol
_atom_site_fract_x
_atom_site_fract_y
_atom_site_fract_z
Rb1 Rb 0.0000 0.0000 0.0000
Cd1 Cd 0.0000 0.5000 0.5000
Cd2 Cd 0.2500 0.2500 0.0000
Hg1 Hg 0.0000 0.0000 0.5000
Hg2 Hg 0.0981 0.3919 0.2136
Hg3 Hg 0.1713 0.1778 0.3530
```

The 10 most intense peaks (10° ≤ 2θ ≤ 80°), in order of rising 2θ:
| Position (°2θ) | d_spacing | I (rel.) | hkl |
| --- | --- | --- | --- |
| 28.81 | 3.099 | 20 | 1 3 -2 |
| 29.32 | 3.046 | 21 | 2 0 -1 |
| 32.70 | 2.738 | 100 | 0 4 2 |
- - -
Written answer:
Structure: